I’m looking to take something that will help me with the recovery process after my cycle is over
trying to get my testosterone up naturally would be really cool to do
what are some good supplements that you would recommend to help with this something to boost my testosterone levels
I’m looking to get on some bridging supplements to help me between cycles.
Looking to conserve some of my gains and make sure that I have more results on my next cycle
I’m tired of losing all my gains and I’m looking for a supplement that can help with us
can you get me some recommendations?
okay I’ve had joint issues in the past but they usually resolve themselves after a few weeks and I’m able to push through them
recently though I was doing some pull-ups and push-ups and my elbows really started to ache
I’m afraid that I have to change strategies and get away from using my elbow...
what are your recommendations when it comes to the best products that I can take to boost my libido. I’m currently dealing with a lot of low testosterone and it’s definitely having a fact
I’m 28 years old I don’t want to go on trt for at least another 5 or 10 years
in the meantime what can I...
Got my liver numbers done after my last cycle and my numbers are pretty strained
hoping you could give me some supplements that I can start taking to help ease this issue
need to get my liver numbers down as soon as possible!
Crystal structures, kept here for reference:
┌──
(1)
This entry pairs a crystal structure of LiBiP2O7 with its simulated powder diffraction line list. Radiation: Cu Kα (λ = 1.5418 Å). Structure: a crystal structure in Alexandria, relaxed with PBE.
Intensities are scaled so that the largest is 100.

The 8 most intense peaks (2θ from 15° to 90°), by angle:
- d = 5.415 Å, intensity 100
- d = 4.475 Å, intensity 49
- d = 3.867 Å, intensity 52
- d = 3.505 Å, intensity 29
- d = 3.333 Å, intensity 36
- d = 2.900 Å, intensity 19
- d = 2.732 Å, intensity 25
- d = 2.708 Å, intensity 21

Atomic structure:
```
data_LiBiP2O7
_cell_length_a 5.035
_cell_length_b 8.949
_cell_length_c 6.855
_cell_angle_alpha 90.00
_cell_angle_beta 97.09
_cell_angle_gamma 90.00
_symmetry_space_group_name_H-M 'P 1 21 1'
_symmetry_Int_Tables_number 4
loop_
_symmetry_equiv_pos_as_xyz
'x,y,z'
'-x,y+1/2,-z'
loop_
_atom_site_label
_atom_site_type_symbol
_atom_site_fract_x
_atom_site_fract_y
_atom_site_fract_z
Li1 Li 0.125 0.000 0.288
Bi1 Bi 0.101 0.888 0.755
P1 P 0.358 0.308 0.561
P2 P 0.361 0.207 0.986
O1 O 0.191 0.447 0.587
O2 O 0.195 0.345 0.022
O3 O 0.205 0.210 0.396
O4 O 0.236 0.056 0.028
O5 O 0.346 0.716 0.917
O6 O 0.352 0.844 0.469
O7 O 0.374 0.197 0.751
```

---

(2)
This entry pairs a crystal structure of LiBiP4O12 with its simulated powder diffraction line list. Radiation: Cu Kα (λ = 1.5418 Å). Structure: a crystal structure in Alexandria, relaxed with PBE.
Intensities are scaled so that the largest is 100.

The 8 most intense peaks (2θ from 15° to 90°), by angle:
- d = 5.795 Å, intensity 67
- d = 5.756 Å, intensity 100
- d = 5.556 Å, intensity 63
- d = 5.125 Å, intensity 66
- d = 4.497 Å, intensity 58
- d = 3.495 Å, intensity 75
- d = 3.380 Å, intensity 65
- d = 2.785 Å, intensity 45

Atomic structure:
```
data_LiBiP4O12
_cell_length_a 7.515
_cell_length_b 8.993
_cell_length_c 7.602
_cell_angle_alpha 90.00
_cell_angle_beta 94.62
_cell_angle_gamma 90.00
_symmetry_space_group_name_H-M 'P 1 21 1'
_symmetry_Int_Tables_number 4
loop_
_symmetry_equiv_pos_as_xyz
'x,y,z'
'-x,y+1/2,-z'
loop_
_atom_site_label
_atom_site_type_symbol
_atom_site_fract_x
_atom_site_fract_y
_atom_site_fract_z
Li1 Li 0.158 0.000 0.341
Bi1 Bi 0.244 0.423 0.793
P1 P 0.114 0.038 0.905
P2 P 0.124 0.640 0.398
P3 P 0.408 0.819 0.886
P4 P 0.467 0.482 0.431
O1 O 0.048 0.012 0.085
O2 O 0.057 0.530 0.236
O3 O 0.068 0.795 0.353
O4 O 0.071 0.576 0.570
O5 O 0.213 0.891 0.841
O6 O 0.227 0.173 0.883
O7 O 0.336 0.623 0.388
O8 O 0.353 0.034 0.508
O9 O 0.369 0.374 0.545
O10 O 0.392 0.659 0.833
O11 O 0.461 0.405 0.239
O12 O 0.473 0.861 0.072
```

---

(3)
This entry pairs a crystal structure of LiPaBiO6 with its simulated powder diffraction line list. Radiation: Cu Kα (λ = 1.5418 Å). Structure: a crystal structure in Alexandria, relaxed with PBE.
Intensities are scaled so that the largest is 100.

The 8 most intense peaks (2θ from 15° to 90°), by angle:
- d = 4.630 Å, intensity 34
- d = 3.369 Å, intensity 100
- d = 2.673 Å, intensity 29
- d = 2.094 Å, intensity 28
└──
I know that there’s some good supplements out there and I know there’s...
Has anyone tried to kill 2 birds with 1 stone and add supplements to their morning coffee
I usually get up in the morning and then I have to get in my car and drive to work and I like to drink coffee on the way
I don’t have time to stop and get breakfast so I’m wondering if I should add some...
make sure you guys listen close to what I’m saying.
I’m doing steroids 8 weeks on and 8 weeks off. I want to make sure I do pct right. My last pct was awful. Got very depressed and did not feel well at all on it
what advice can you give me when it comes to proper way to run my PCT with...
Oh I just came off a steroid cycle and I was stupid I didn’t run any liver support
do you think it’s a waste of time to start using liver support now after cycle or is it worth it to get on it?
My liver feels like it’s gonna explode I definitely have a lot of problems going on
which supplements...
what would you recommend I use for on cycle support if you had to choose between rich piana’s formula and n2guard and why?
Calculated crystals from another source follow >
____________
Simulated PXRD pattern of U2Ti for λ = 1.5418 Å (Cu Kα), from a cell relaxed with PBE.

Structure:
```
U2Ti
1.0
4.789 0.000 0.000
-2.394 4.147 0.000
0.000 0.000 2.802
U Ti
2 1
direct
0.333 0.667 0.000
0.667 0.333 0.000
0.000 0.000 0.500
```

Principal peaks in the range 15° ≤ 2θ ≤ 90°, in order of rising 2θ:
2theta	d/Å	Rel. int.
21.4	4.147	50
31.9	2.802	34
37.6	2.394	100
38.8	2.322	55
50.1	1.820	60
79.2	1.209	25


Simulated PXRD pattern of UTi for λ = 1.5418 Å (Cu Kα), from a cell relaxed with PBE.

Structure:
```
UTi
1.0
1.507 -2.466 0.000
1.507 2.466 0.000
0.000 0.000 5.045
U Ti
1 1
direct
0.000 0.000 0.000
0.500 0.500 0.500
```

Principal peaks in the range 15° ≤ 2θ ≤ 90°, in order of rising 2θ:
2theta	d/Å	Rel. int.
17.6	5.045	74
34.9	2.572	30
35.6	2.522	33
36.4	2.466	31
39.3	2.291	100
67.5	1.388	26


Simulated PXRD pattern of UTi for λ = 1.5418 Å (Cu Kα), from a cell relaxed with PBE.

Structure:
```
UTi
1.0
2.948 0.000 0.000
-1.474 2.553 0.000
0.000 0.000 5.103
U Ti
1 1
direct
0.000 0.000 0.000
0.333 0.667 0.500
```

Principal peaks in the range 15° ≤ 2θ ≤ 90°, in order of rising 2θ:
2theta	d/Å	Rel. int.
17.4	5.103	60
35.2	2.552	72
39.5	2.283	100
50.6	1.805	34
66.0	1.416	35
74.3	1.276	28


Simulated PXRD pattern of U3Ti for λ = 1.5418 Å (Cu Kα), from a cell relaxed with PBE.

Structure:
```
U3Ti
1.0
5.890 0.000 0.000
-2.945 5.101 0.000
0.000 0.000 5.338
U Ti
6 2
direct
0.178 0.356 0.250
0.178 0.822 0.250
0.356 0.178 0.750
0.644 0.822 0.250
0.822 0.178 0.750
0.822 0.644 0.750
0.333 0.667 0.750
0.667 0.333 0.250
```

Principal peaks in the range 15° ≤ 2θ ≤ 90°, in order of rising 2θ:
2theta	d/Å	Rel. int.
24.1	3.688	31
33.6	2.669	35
35.2	2.550	22
39.1	2.301	100
63.8	1.459	25
73.4	1.289	21


(1)
Starting from a GGA-PBE-relaxed structure, the powder diffractogram of Tl4In4Hg7 was computed for a wavelength of 1.5418 Å.

Cell and atoms:
```
data_Tl4In4Hg7
_cell_length_a 6.7080
_cell_length_b 11.7045
_cell_length_c 11.7160
_cell_angle_alpha 83.99
_cell_angle_beta 74.04
_cell_angle_gamma 74.68
_symmetry_space_group_name_H-M 'P -1'
_symmetry_Int_Tables_number 2
loop_
_symmetry_equiv_pos_as_xyz
'x,y,z'
'-x,-y,-z'
loop_
_atom_site_label
_atom_site_type_symbol
_atom_site_fract_x
_atom_site_fract_y
_atom_site_fract_z
Tl1 Tl 0.0038 0.1865 0.3122
Tl2 Tl 0.1990 0.8197 0.3207
Tl3 Tl 0.3607 0.2616 0.4893
Tl4 Tl 0.3648 0.9895 0.7627
In1 In 0.0901 0.4978 0.3404
In2 In 0.0923 0.8366 0.9925
In3 In 0.4044 0.2385 0.9625
In4 In 0.4052 0.4622 0.7386
Hg1 Hg 0.9999 0.3990 0.1020
Hg2 Hg 0.1539 0.2688 0.7699
Hg3 Hg 0.2508 0.9990 0.5015
Hg4 Hg 0.2729 0.0080 0.0987
Hg5 Hg 0.2767 0.6010 0.5114
Hg6 Hg 0.3069 0.5797 0.0801
Hg7 Hg 0.4955 0.2968 0.2044
```

Peak list (10 most intense, 2θ from 10° to 90°, in order of falling intensity)
2θ/deg  Rel. int.  index
32.26  100  2 3 2
31.36  73  1 -2 3
31.60  56  1 3 -2
30.31  50  -1 2 2
30.91  46  1 3 3
30.63  46  1 -3 0
31.16  40  1 1 -3
30.79  36  1 0 -3
33.14  32  0 3 3
34.33  30  0 3 -3

=====

(2)
____________
The Piana option is cheaper and you don’t have to use as much as a serving.
Trying to figure out which one I should try. Rich was my idle and still is, nobody is bigger and...
hoping you can give me advice for steroid users. Want something thats gonna give me more stamina while on cycle.
I gain a lot of weight and it seems like it really gives my endurance a hit. Need something that can help with that and make me feel more energy.
Evolutionary.org UG Supplements #23- How supplements can help your bloodwork improve?
I’m doing tren, clen and superdrol together.
The results have been amazing but the side effects have been beyond anything that I’ve ever experienced
I feel really lousy on this cycle and I have no energy like I feel like I’m dead
what is a supplement that I can take to help out with the side...
My doctor put me on a testosterone gel which I am to apply every day for my low testosterone
my previous blood work was at 150 and he said that that was too low
my question is which supplements would you recommend I use with the testosterone gel to help me have better results
so far I’m not...
I’m looking for a supplement that you can recommend to me that will help lower my stress levels
right now I’m working my ass off I get up at 5:00 I have to take the kids to school then I work all day and I come home and deal with a nagging wife the rest of the night who screams at me
do you have...
my metabolism has slowed down considerably as I’ve gotten older I’m now in my 50s and I feel like I need to take something to speed it up
I’m looking to trim up from here. My current weight is around 240 lbs and I think I can lose about 20 or 30 lbs easily if I just get my metabolism higher
I’m spending about 600 or $700 on my next sarms stack
its gonna be a mix of s4, lgd and gw. A big 16 week cycle.
I want to take a full advantage of it and get the most results
what’s a good supplement that you recommend that I use with it?
I’m hoping you could give me some advice on getting more lean gains using supplements
every time I try to increase my calories I gained fat and it’s very frustrating because people I know eat a lot of more food than I do and they stay lean
do you think using a certain supplement before I eat...
I’m looking for a list of supplements that I could start taking to help all my organs
I’m not just talking about my liver but I’m also talking about my kidneys, my heart calm on even my brain and skin
the such a thing exists? If not someone would probably make millions if they came up with such...
so on steroids I have the libido of a horse but coming off steroids is a major problem
libido tends to drop so I’m wondering what you guys thought about supplements that I can use to help keep my libido strong going forward
a bit about me I’m 38 years old and I have been training for the past 10...
I’m in the middle of my cycle and my blood work looks like a mess
not really sure what’s going on but I’m very concerned that maybe my health is going down the drain
do you recommend a supplement that can help deal with bad blood work?
If so can you give me a name?